[Data]
____________
Below is C16H10ClF6N2OPRh as an isolated structure, with properties calculated with ωB97M-V/def2-TZVPD.

Geometry as ORCA input:
```
! RIJCOSX wB97M-V def2-TZVPD def2/J DEFGRID3
* xyz 2 2
Rh 0.51775 -1.60847 0.11072
Cl 3.76196 1.56065 -5.36870
C 3.23239 0.53315 -4.15579
C 4.00327 -0.59967 -3.79520
C 3.56452 -1.42146 -2.80991
C 2.33471 -1.15333 -2.10919
O 1.99369 -1.94661 -1.18873
C 1.54089 -0.00119 -2.49776
C 0.26459 0.34219 -1.91405
N -0.34657 -0.25042 -0.94882
C -1.59299 0.18884 -0.38592
C -2.45279 1.09439 -0.95047
C -3.62189 1.45959 -0.25656
C -3.91436 0.92167 0.96861
C -3.04998 -0.02985 1.55688
C -3.27175 -0.64713 2.81114
C -2.37738 -1.56614 3.28946
C -1.24560 -1.88176 2.52751
N -1.02147 -1.32412 1.35234
C -1.89420 -0.39654 0.85714
C 2.00639 0.80944 -3.50762
H 4.93422 -0.79033 -4.31208
H 4.12472 -2.29383 -2.50088
H -0.23284 1.20560 -2.34595
H -2.26845 1.53197 -1.92238
H -4.29274 2.17582 -0.70925
H -4.81441 1.21236 1.49443
H -4.15137 -0.38398 3.38530
H -2.51838 -2.05257 4.24334
H -0.51200 -2.59240 2.88807
H 1.44159 1.67535 -3.83002
F 1.57245 -0.29188 0.89085
P 1.40181 1.07685 3.15823
F 1.28433 1.84347 4.46796
F 1.74346 2.18983 2.11222
F -0.10141 1.16114 2.63753
F 1.05322 -0.40406 3.60974
F 2.90465 0.65344 3.14784
*
```

As for the energy above the lowest of the compared OMol25 structures with the same formula, charge and spin: 0.0 kcal per mole. The expectation value of S² is 0.777. The frontier orbital gap (alpha / beta) is 0.243 / 0.207 hartree. The calculation puts the HOMO energy (alpha / beta) at -15.460 / -15.566 eV.

Below is C16H10F15FeN4OS3Te as an isolated structure, with properties calculated with ωB97M-V/def2-TZVPD.

Geometry as ORCA input:
```
! RIJCOSX wB97M-V def2-TZVPD def2/J DEFGRID3
* xyz -1 1
Fe -1.28952 -0.36527 -0.05059
N -2.00993 -1.32813 1.63974
N -2.67725 -2.50444 1.25648
C -2.37307 -3.09181 0.09868
N -3.17468 -4.10927 -0.28646
S -1.01550 -2.68129 -0.81855
H -1.43773 -1.51970 2.45648
H -2.73282 -0.59364 1.85310
H -3.58223 -2.65387 1.67994
H -4.08998 -4.20832 0.12055
H -3.05382 -4.42352 -1.23272
C -2.63188 2.43589 -4.44386
C -2.16079 2.73612 -3.02179
C -1.55602 1.57885 -2.38434
N -1.07625 0.66268 -1.89018
H -3.13015 3.31315 -4.85332
H -3.33951 1.60813 -4.44661
H -1.79757 2.17702 -5.09615
H -2.97606 3.05658 -2.37209
H -1.42694 3.54263 -2.98825
F 5.09163 0.92054 5.57723
C 4.26295 0.34248 4.70821
C 3.01702 -0.09290 5.12452
F 2.65060 0.06897 6.39697
C 2.16129 -0.69004 4.21439
F 0.96901 -1.09517 4.64792
C 2.52835 -0.87447 2.88593
S 1.43024 -1.66957 1.75458
C 3.79130 -0.43697 2.49853
F 4.19461 -0.59153 1.23640
C 4.65390 0.17308 3.38968
F 5.85872 0.59077 2.99782
F -4.04034 0.43478 1.99999
Te -3.35000 1.99465 0.67472
F -4.85686 3.46063 0.50739
F -2.32560 3.48308 -0.15700
F -3.10794 -0.54835 -0.60139
F -3.14888 2.86466 2.33302
O -1.62396 1.22828 0.93104
F 3.72244 -0.30031 -4.63674
C 3.11109 -0.28754 -3.45149
C 2.49922 0.86763 -2.99508
F 2.52598 1.97524 -3.74002
C 1.87693 0.86133 -1.76285
F 1.31051 1.99037 -1.33604
C 1.82146 -0.27985 -0.96322
S 0.91011 -0.05368 0.54806
C 2.43242 -1.42482 -1.44640
F 2.42244 -2.56867 -0.76884
C 3.07948 -1.42851 -2.67326
F 3.66360 -2.54590 -3.11417
*
```

The frontier orbital gap (alpha / beta) is 0.227 / 0.226 hartree. The calculation puts the HOMO energy (alpha / beta) at -4.503 / -4.500 eV.

Below is C16H11BF4N3O5Pd as an isolated structure, with properties calculated with ωB97M-V/def2-TZVPD.

Geometry as ORCA input:
```
! RIJCOSX wB97M-V def2-TZVPD def2/J DEFGRID3
* xyz 1 1
Pd 0.11900 -0.11048 0.10015
O -0.17146 0.69210 -1.71006
C -1.09904 0.65480 -2.52900
C -0.96250 1.43394 -3.74741
C -1.94957 1.44154 -4.66163
C -3.13824 0.66403 -4.44881
C -3.32311 -0.10116 -3.33692
C -2.33968 -0.15388 -2.32562
C -2.47984 -0.96375 -1.20127
N -1.61113 -1.10848 -0.16320
C -2.11711 -1.97789 0.70312
C -3.35977 -2.41615 0.20961
N -3.55881 -1.78930 -0.94518
H -0.05090 2.00762 -3.83942
H -1.86642 2.03136 -5.56350
H -3.91194 0.68784 -5.20485
H -4.23783 -0.66935 -3.24476
H -1.60739 -2.25602 1.61521
____________

[Request]
Next, transcribe the lines further up up to the one that holds "3.28946", that line included.

[Worked solution]
Below is C16H10ClF6N2OPRh as an isolated structure, with properties calculated with ωB97M-V/def2-TZVPD.

Geometry as ORCA input:
```
! RIJCOSX wB97M-V def2-TZVPD def2/J DEFGRID3
* xyz 2 2
Rh 0.51775 -1.60847 0.11072
Cl 3.76196 1.56065 -5.36870
C 3.23239 0.53315 -4.15579
C 4.00327 -0.59967 -3.79520
C 3.56452 -1.42146 -2.80991
C 2.33471 -1.15333 -2.10919
O 1.99369 -1.94661 -1.18873
C 1.54089 -0.00119 -2.49776
C 0.26459 0.34219 -1.91405
N -0.34657 -0.25042 -0.94882
C -1.59299 0.18884 -0.38592
C -2.45279 1.09439 -0.95047
C -3.62189 1.45959 -0.25656
C -3.91436 0.92167 0.96861
C -3.04998 -0.02985 1.55688
C -3.27175 -0.64713 2.81114
C -2.37738 -1.56614 3.28946